First off, Amelie has learned to count to ten. I'm especially impressed because I don't think she's heard counting (beyond three) all that often. I instituted a new rule recently wherein, after one reminder to not splash in the tub, a repeat splasher is bodily removed from the tub and forced to stand naked and wet on the bathmat for a count of ten before being returned back to the warm bath.
We've only done in a few times but apparently it made a big impression. She whispers the last two numbers in the video because my friend Jen, in an effort to help her, whispered "eight" to her so Amelie thought that was a clue that she was supposed to whisper.
Calliope, not to be outdone, has started writing words and sentences! Her school is very progressive (or old school, depending on your outlook) and doesn't believe in pushing children to read. So they only started studying the sounds of letters in January. And now, apparently, they are teaching the children to sound out words. Calliope seems enchanted with the idea.
Sorry it's sideways.
Written right to left, it says "thank you? (because she loves question marks, not because it's a
question). I love (the) book." And there's a drawing of the sketchpad and colored pencils she was given.
I'm thrilled to watch the transformation into a reader (not there yet) and seeing the excitement and pride on her face when she figures things out. I am also, I note, a little bit relieved to see her start this work, even though, in theory, I support her school and their laid back approach entirely. I see them produce hundreds of students over the years who are bright and inquisitive and best of all, love going to school, so I know they are doing something right but it's still a little nerve wracking when it's your own kid.
As for me... Jamaica was transformative. I came back feeling like I had pressed a giant "reset" button. After missing my first two afternoon workouts because of hectic days at the clinic, and inspired by fellow SMC Sacha on the trip, who told me she gets up at 4:45 AM to work out before work... I started setting my alarm for 5 AM. And mostly getting up the very first time it goes off. And getting myself set to work out with very little wasting of time.
This requires going to bed earlier, and inspired again by Sacha, I'm making good progress here too. I set a bedtime alarm on my phone that reminds me and although I'm not where I want to be, I'm a lot better.
I also started a new workout program. I signed up for Burn and I input my preferences and voila... it sends me a new workout to do each day! It's fun having some variety to my workouts after doing T25 for so long.
Also, and this perhaps the biggest change... after writing a post to the SMC Forum about how to stop using nighttime snacking as an emotional crutch... I've committed to myself to eating dinner without distractions every night. For at least two weeks. Tonight was night two.
**What comes next are crystal structures, not part of the page:**
<<<
Simulated powder X-ray diffraction pattern
Compound: NaHoGaHg
Radiation: Cu Kα (λ = 1.5418 Å)
Structure: a structure optimized by DFT (PBE)
Kinematic intensities with the Lorentz-polarization factor, no thermal factor.

Peak list (8 most intense, 10° ≤ 2θ ≤ 80°, low angle first)
(hkl)  2θ (°)  I/Imax
1 1 1  21.42  38.0
2 2 0  35.34  100.0
3 1 1  41.70  21.2
4 0 0  50.84  17.8
3 3 1  55.78  9.3
4 2 2  63.43  36.5
4 4 0  74.75  11.3
5 3 1  78.82  7.1

Cell and atoms:
Unit cell a=7.184 b=7.184 c=7.184 alpha=90.00 beta=90.00 gamma=90.00
Space group F-43m (No. 216)
Inequivalent atoms, fractional coordinates:
Na: 0.000 0.000 0.000 [4 per cell]
Ho: 0.000 0.000 0.500 [4 per cell]
Ga: 0.250 0.250 0.750 [4 per cell]
Hg: 0.250 0.250 0.250 [4 per cell]


Entry 1:
The following is a simulated powder diffraction line list of AsPd4. It was derived from a DFT-relaxed cell (GGA-PBE, the Materials Project), using λ = 1.5418 Å (Cu Kα).

```
data_AsPd4
_chemical_formula_sum 'As2 Pd8'
_cell_length_a 3.098
_cell_length_b 3.098
_cell_length_c 16.403
_cell_angle_alpha 90.00
_cell_angle_beta 90.00
_cell_angle_gamma 90.00
_symmetry_space_group_name_H-M 'I 4/m m m'
_symmetry_Int_Tables_number 139
_symmetry_space_group_name_Hall '-I 4 2'
loop_
_atom_site_label
_atom_site_type_symbol
_atom_site_fract_x
_atom_site_fract_y
_atom_site_fract_z
As1 As 0.000 0.000 0.000
Pd1 Pd 0.000 0.000 0.199
Pd2 Pd 0.000 0.000 0.409
```

Main lines, in order of rising 2θ (5 to 70 degrees two-theta):
h k l  2θ (°)  intensity
1 0 3  33.24  3
1 0 5  40.03  100
1 1 0  41.21  48
0 0 10  56.07  8
2 0 0  59.70  16
1 1 8  62.00  2

Entry 2:
The following is a simulated powder diffraction line list of CeSe2. It was derived from a DFT-relaxed cell (GGA-PBE, the Materials Project), using λ = 1.5418 Å (Cu Kα).

```
data_CeSe2
_chemical_formula_sum 'Ce4 Se8'
_cell_length_a 4.087
_cell_length_b 48.946
_cell_length_c 7.041
_cell_angle_alpha 90.00
_cell_angle_beta 90.00
_cell_angle_gamma 90.00
_symmetry_space_group_name_H-M 'F m m 2'
_symmetry_Int_Tables_number 42
_symmetry_space_group_name_Hall 'F 2 -2'
loop_
_atom_site_label
_atom_site_type_symbol
_atom_site_fract_x
_atom_site_fract_y
_atom_site_fract_z
Ce1 Ce 0.000 0.000 0.000
Se1 Se 0.000 0.035 0.665
```

Main lines, in order of rising 2θ (5 to 70 degrees two-theta):
h k l  2θ (°)  intensity
0 4 0  7.22  100
0 6 0  10.85  24
0 0 2  25.27  12
1 11 1  32.34  11
1 13 1  34.81  12
1 1 3  44.53  11

Entry 3:
The following is a simulated powder diffraction line list of NaNdB6O13. It was derived from a DFT-relaxed cell (GGA-PBE, the Materials Project), using λ = 1.5418 Å (Cu Kα).

```
data_NaNdB6O13
_chemical_formula_sum 'Na2 Nd2 B12 O26'
_cell_length_a 6.758
_cell_length_b 7.410
_cell_length_c 10.473
_cell_angle_alpha 87.33
_cell_angle_beta 74.72
_cell_angle_gamma 77.78
_symmetry_space_group_name_H-M 'P -1'
_symmetry_Int_Tables_number 2
_symmetry_space_group_name_Hall '-P 1'
loop_
_atom_site_label
_atom_site_type_symbol
_atom_site_fract_x
_atom_site_fract_y
>>>
I did this exercise a few years ago, pre-kids, and it was really hard at first. I got very depressed initially. So I was worried about that happening this time around but actually, I am finding it much easier this time. It's kind of nice to sit down alone (I tried doing it with the kids two nights ago and my god, it's no fun AT ALL to eat with them -- all that whining and jumping up and down! no thank you!) at a nice clean table with a nice plate of food and just my thoughts for company.
## The text is interrupted by data records
1.
Theoretical X-ray diffraction stick pattern of CeAsAuS for Cu Kα (weighted mean of Kα1 and Kα2), from a PBE-relaxed structure.

```
8
Lattice="4.3500 0.0000 0.0000 0.0000 4.3500 0.0000 0.0000 0.0000 8.8410" Properties=species:S:1:pos:R:3 pbc="T T T"
Ce 1.0875 1.0875 1.7177
Ce 3.2625 3.2625 7.1233
As 1.0875 1.0875 6.0895
As 3.2625 3.2625 2.7515
Au 1.0875 3.2625 4.4205
Au 3.2625 1.0875 4.4205
S 1.0875 3.2625 0.0000
S 3.2625 1.0875 0.0000
```

Top 12 peaks for 2θ from 5° to 70°, in order of rising 2θ:
| two_theta | I/Imax |
| --- | --- |
| 10.0 | 59 |
| 28.8 | 23 |
| 30.3 | 11 |
| 30.8 | 32 |
| 35.6 | 100 |
| 41.5 | 42 |
| 46.1 | 14 |
| 50.9 | 10 |
| 52.3 | 10 |
| 59.6 | 10 |
| 60.2 | 14 |
| 63.7 | 11 |

***

2.
Theoretical X-ray diffraction stick pattern of La5BCl5 for Cu Kα (weighted mean of Kα1 and Kα2), from a PBE-relaxed structure.

```
11
Lattice="6.4142 -2.9017 0.0000 6.4142 2.9017 0.0000 -2.7073 0.0000 7.9784" Properties=species:S:1:pos:R:3 pbc="T T T"
La 0.0000 0.0000 0.0000
La 3.9391 0.0000 1.1316
La 2.5651 0.0000 5.5910
La 7.5561 0.0000 2.3874
La 6.1821 0.0000 6.8468
B 6.4142 0.0000 0.0000
Cl -0.1998 0.0000 6.4450
Cl 1.1415 0.0000 2.7647
Cl 5.0606 0.0000 3.9892
Cl 8.9797 0.0000 5.2137
Cl 10.3210 0.0000 1.5334
```

Top 12 peaks for 2θ from 5° to 70°, in order of rising 2θ:
| two_theta | I/Imax |
| --- | --- |
| 11.1 | 24 |
| 26.2 | 52 |
| 26.8 | 44 |
| 30.5 | 45 |
| 30.8 | 100 |
| 35.7 | 18 |
| 42.9 | 14 |
| 43.9 | 32 |
| 44.1 | 35 |
| 44.8 | 16 |
| 53.8 | 14 |
| 55.3 | 18 |

***

3.
Theoretical X-ray diffraction stick pattern of Ag2Pt for Cu Kα (weighted mean of Kα1 and Kα2), from a PBE-relaxed structure.

```
12
Lattice="4.9797 -2.8760 0.0000 4.9797 2.8760 0.0000 -4.9355 0.0000 7.0878" Properties=species:S:1:pos:R:3 pbc="T T T"
Ag 0.0000 0.0000 0.0000
Ag 2.4772 1.4514 0.0787
Ag -1.6109 0.0000 4.7996
Ag 4.1534 1.4376 2.4214
Ag 1.6660 0.0000 2.4344
Ag 5.0042 0.0000 0.0478
Ag 2.4772 -1.4514 0.0787
Ag 4.1534 -1.4376 2.4214
Pt 0.8781 1.4502 4.7558
Pt 3.3370 0.0000 4.8016
Pt 0.8781 -1.4502 4.7558
Pt 6.6343 0.0000 2.4635
```

Top 12 peaks for 2θ from 5° to 70°, in order of rising 2θ:
| two_theta | I/Imax |
| --- | --- |
| 12.5 | 12 |
| 18.9 | 4 |
| 26.0 | 3 |
| 36.1 | 3 |
| 38.1 | 50 |
| 38.2 | 52 |
| 38.3 | 100 |
| 44.4 | 66 |
| 44.6 | 34 |
| 64.3 | 11 |
| 64.7 | 21 |
| 64.8 | 31 |

***

4.
Theoretical X-ray diffraction stick pattern of PmTaVGe2 for Cu Kα (weighted mean of Kα1 and Kα2), from a PBE-relaxed structure.

```
10
Lattice="3.9948 0.0000 0.0000 0.0000 3.9948 0.0000 0.0000 0.0000 11.9905" Properties=species:S:1:pos:R:3 pbc="T T T"
Pm 0.0000 0.0000 0.0000
Pm 1.9974 1.9974 5.9952
Ta 0.0000 1.9974 8.9929
Ta 1.9974 0.0000 2.9976
V 0.0000 1.9974 2.9976
V 1.9974 0.0000 8.9929
Ge 0.0000 0.0000 4.7042
Ge 0.0000 0.0000 7.2863
Ge 1.9974 1.9974 1.2911
Ge 1.9974 1.9974 10.6994
```

Top 12 peaks for 2θ from 5° to 70°, in order of rising 2θ:
| two_theta | I/Imax |
| --- | --- |
| 23.5 | 28 |
| 29.8 | 13 |
| 31.7 | 51 |
| 35.1 | 100 |
I ended up getting really hungry after getting into bed and so I had a granola bar but hey, I didn't read or do anything else while I ate it. Progress!